Policymakers should devise integrated urban and rural anti-poverty policies and innovative pro-poor fiscal and financial systems, promote social protection in reducing poverty, and prioritize the equalization of healthcare education and ...
Being one of the richest countries in the world, you would think poverty didn't exist. Unfortunately, it is one of - if not the biggest - issue in America right now. Many causes can result in the effect of poverty. Does society see a homeless person on the street, and assume 'we kn...
First, the descriptive statistics were estimated. These included the prevalence of ACEs and severe psychological distress and the coexistence of the ACEs. To address a potential sampling bias due to the internet survey, a propensity score for participation in the internet survey was calculated. We ...
America had a very mild increase in inequality between 1870 and 1910… However, its also in America that the living standard of the bottom 90% surged the most. By 1910, their living standard had increased by a factor of 2.37. Only Canada got close to that increase and it was still immen...
services, such as healthcare, education, or social services. These people may also be denied access to thelabor marketor housing, which can prevent them from reaching a suitable standard of living. In other cases, deep-rooted societal beliefs can isolate individuals, families, and entire ...
Several different factors can be considered contributors to poverty, and one of the goals behind National Poverty Awareness in America Month might be to learn more about poverty and then act as an agent of cultural change in the local community. People of color are more likely to experience pov...
Unrelated to this text: crystal structures.
- - -
Entry 1:
- - -
The text goes on.
Investment in both public and private education is aimed at achieving socioeconomic goals, including the reduction of poverty. While a large body of eviden
# Next to the article, the page also holds materials data
~~~
1.
A plane-wave DFT calculation with PBE was carried out for an optimized crystal structure of SmY3.

Structure (POSCAR):
```
SmY3
1.0
-0.264 4.687 -1.970
-4.341 0.819 2.531
2.647 1.811 3.954
Sm Y
1 3
Cartesian
0.000 0.000 0.000
-0.847 1.315 3.242
1.191 3.249 0.992
-2.303 2.753 0.281
```

=====

2.
PBE Mg6ZnBi, relaxed; size of the total moment = 0.000 μB per atom
1.0
-0.125 3.045 4.384
-6.017 -1.415 0.812
2.872 -8.701 6.125
Mg Zn Bi
12 2 2
Cartesian
-1.237 -1.050 0.694
-4.316 -1.774 1.109
0.954 -2.888 2.033
-3.367 -3.122 5.323
-0.406 -2.425 4.924
0.418 0.066 3.217
-2.809 -6.107 4.162
0.129 -5.416 3.766
-0.619 -7.946 5.501
1.078 -6.764 7.980
-1.978 -7.483 8.392
-1.154 -4.991 6.685
-2.004 -3.751 2.548
2.441 -7.394 5.205
-2.599 -0.614 3.603
1.845 -4.256 6.260

=====

3.
A plane-wave DFT calculation with PBE was carried out for an optimized crystal structure of Zr2PbC.

Structure (POSCAR):
```
Zr2PbC
1.0
-1.638 1.922 2.289
3.404 -0.170 0.042
0.702 11.733 -9.346
Zr Pb C
4 2 2
Cartesian
2.132 7.360 -4.652
0.336 6.124 -2.363
0.100 2.191 0.770
2.367 11.294 -7.785
1.899 3.460 -1.546
0.569 10.024 -5.470
0.351 5.867 -4.673
0.000 0.000 0.000
```

=====

4.
A plane-wave DFT calculation with PBE was carried out for an optimized crystal structure of KAlH4.

Structure (POSCAR):
```
KAlH4
1.0
-2.700 2.700 6.304
2.700 -2.700 6.304
2.700 2.700 -6.304
K Al H
2 2 8
Cartesian
0.000 2.700 3.152
0.000 0.000 0.000
2.700 0.000 3.152
0.000 0.000 6.304
2.182 1.245 4.072
3.219 -1.245 4.072
1.245 0.519 7.224
1.456 2.182 0.920
3.219 1.456 -0.920
-0.519 1.245 5.384
1.456 -0.519 2.232
3.945 0.519 2.232
```

=====

5.
PBE Ho4CoB13, relaxed; size of the total moment = 0.000 μB per atom
1.0
7.285 0.000 0.000
0.000 7.285 0.000
0.000 0.000 6.872
Ho Co B
8 2 26
Cartesian
4.988 1.324 3.436
2.296 5.961 3.436
1.346 2.319 0.000
5.939 4.966 0.000
5.961 4.988 3.436
1.324 2.296 3.436
4.966 1.346 0.000
2.319 5.939 0.000
3.642 3.642 3.436
0.000 0.000 0.000
3.642 3.642 0.000
0.000 0.000 3.436
6.623 2.981 1.718
0.661 4.304 1.718
2.981 0.661 5.154
4.304 6.623 5.154
4.304 6.623 1.718
2.981 0.661 1.718
6.623 2.981 5.154
0.661 4.304 5.154
3.927 4.881 1.688
3.358 2.404 1.688
0.285 6.046 5.124
7.000 1.239 5.124
2.404 3.927 1.688
4.881 3.358 1.688
1.239 0.285 5.124
6.046 7.000 5.124
3.358 2.404 5.183
3.927 4.881 5.183
7.000 1.239 1.748
0.285 6.046 1.748
4.881 3.358 5.183
2.404 3.927 5.183
6.046 7.000 1.748
1.239 0.285 1.748

=====

6.
PBE Re2SCl4O8, relaxed; size of the total moment = 0.000 μB per atom
1.0
7.977 7.742 0.000
-7.977 7.742 0.000
0.000 1.441 9.635
Re S Cl O
8 4 16 32
Cartesian
-2.639 6.323 0.342
-2.639 9.880 4.475
2.639 10.601 9.292
2.639 7.044 5.160
1.453 2.840 0.341
1.453 13.364 4.476
-1.453 14.084 9.293
-1.453 3.560 5.159
-3.138 9.784 0.987
-3.138 6.419 3.831
3.138 7.140 8.648
3.138 10.505 5.804
-4.824 8.188 9.460
-4.824 9.456 4.992
4.824 8.736 0.175
4.824 7.468 4.642
-0.625 6.532 1.399
-0.625 9.671 3.418
0.625 10.392 8.236
0.625 7.253 6.217
1.492 3.282 7.921
1.492 14.362 6.532
~~~
There Immigration issue in American now, which I think it's bad. Some people can't even go back to America which really sucks. After the new president became the president, a lot of things change. Some people come here for vacation, and some for education. Immigration issue is like someo...
There are clearly many millions of adults in America who are capable of work but who do not work, greatly reducing the economic prospects for themselves and members of their households — not to mention the broader economy. Given the range of personal and public benefits that accompany work, ...
Poverty and inequality in Latin America: the impact of adjustment and recovery: Morley, Samuel A. (1995), The Johns Hopkins University Press (Baltimore and... The study explores the distribution of all public education resources across socioeconomic, and demographic groups in South Africa. The Be...